# Assignment
Now filter the material further below: keep the lines with the word "energy".

# Data
~~~
DFT (the ωB97M-V functional and the def2-TZVPD basis) results for a structure of composition C17H24Cl2MoO2.

## Properties
* total energy: -49013.4967 eV
* energy relative to the best compared isomer or geometry (same formula, charge and spin): 54.80 kcal per mole
* multiplicity: 3
* highest occupied orbital energy (alpha / beta): 1.933 / 1.956 eV
* gap between HOMO and LUMO (alpha / beta): 2.94 / 2.91 eV
* charge: -2
* <S²>: 2.01
* LUMO energy (alpha / beta): 4.87 / 4.87 eV

Geometry as XYZ:
```
46
Properties=species:S:1:pos:R:3:forces:R:3
C 0.898 2.219 -0.243 0.887 0.102 -0.558
C 0.899 1.909 -1.650 0.962 0.115 0.078
C 1.865 0.844 -1.860 0.153 0.585 0.819
C 0.125 2.614 -2.713 -0.032 0.028 -0.271
C 2.438 0.519 -0.569 -0.162 1.407 -0.588
C 1.877 1.403 0.400 0.376 0.142 -0.868
C 2.395 1.603 1.778 -0.227 -0.261 0.404
C 0.172 3.345 0.407 -0.163 0.130 0.193
C 2.275 0.227 -3.151 0.132 -0.193 -0.289
C 3.553 -0.444 -0.346 -0.194 -0.174 -0.042
Mo 0.136 0.099 -0.705 -0.914 -2.909 4.866
Cl -0.740 -0.640 -2.615 -0.934 -0.554 -2.209
Cl -1.967 1.029 -0.059 0.167 0.259 -0.378
O 0.866 -1.802 -0.553 0.183 0.861 0.073
H -0.661 3.225 -2.272 -0.054 -0.057 -0.013
H -0.340 1.898 -3.398 0.005 0.066 0.128
H 0.777 3.267 -3.302 0.044 0.064 0.022
H 1.537 0.415 -3.937 0.077 -0.117 0.195
H 2.393 -0.859 -3.037 -0.154 0.216 -0.076
H 3.238 0.629 -3.488 0.014 0.061 0.052
H 3.372 -1.367 -0.903 -0.043 0.037 0.135
H 3.628 -0.684 0.712 0.039 -0.146 0.005
H 4.512 -0.022 -0.669 -0.058 0.065 -0.012
H 2.784 0.665 2.183 -0.152 0.151 0.081
H 1.601 1.963 2.435 0.075 -0.202 0.039
H 3.214 2.337 1.794 -0.084 -0.039 -0.159
H -0.785 3.542 -0.082 0.102 -0.119 0.149
H 0.770 4.264 0.376 0.078 -0.047 -0.054
H -0.019 3.108 1.456 -0.163 0.001 -0.136
H 0.846 -2.061 0.388 -0.251 0.415 -0.409
O -0.138 -0.448 2.032 0.934 0.316 -1.221
H 0.681 -0.904 2.296 -0.269 0.148 -0.078
C -2.419 -2.591 -0.588 0.666 -0.050 0.105
C -3.056 -2.974 0.579 -0.340 -0.506 -0.035
C -2.497 -2.724 1.887 0.355 -0.209 0.225
C -3.029 -3.343 3.009 0.113 0.166 -0.892
C -4.160 -4.165 2.902 -0.266 -0.475 0.537
C -4.800 -4.339 1.664 0.339 0.706 -0.459
C -4.291 -3.723 0.531 -0.418 0.252 0.345
H -1.336 -2.662 -0.643 -0.249 0.757 0.016
H -2.992 -2.288 -1.446 -0.087 -0.353 -0.527
H -1.641 -2.019 1.945 -0.592 -0.533 0.065
H -2.558 -3.186 3.976 -0.076 0.048 0.046
H -4.551 -4.666 3.782 -0.046 -0.029 0.078
H -5.691 -4.959 1.581 0.004 0.014 0.094
H -4.766 -3.834 -0.459 0.223 -0.138 0.522
```
Positions in Å, forces in eV/Å.


DFT (the ωB97M-V functional and the def2-TZVPD basis) results for a structure of composition C17H24F5O2PdSe2.

## Properties
* total energy: -169866.7879 eV
* energy relative to the best compared isomer or geometry (same formula, charge and spin): 1.24 kcal per mole
* highest occupied orbital energy (alpha / beta): -11.765 / -11.766 eV
* gap between HOMO and LUMO (alpha / beta): 6.57 / 6.57 eV
* charge: +1
* LUMO energy (alpha / beta): -5.19 / -5.19 eV

Geometry as XYZ:
```
51
Properties=species:S:1:pos:R:3:forces:R:3
Pd -0.741 0.368 0.524 -0.588 0.011 0.190
C 0.444 -3.428 -0.168 0.013 -0.028 -0.065
C 0.110 -3.154 1.293 0.100 0.127 0.087
C -0.459 -4.402 1.976 -0.012 -0.068 0.020
C -0.861 -2.013 1.492 0.081 -0.128 0.139
C -2.021 -1.876 0.720 -0.034 -0.048 -0.187
C -2.985 -0.908 1.011 0.045 -0.037 -0.023
C -2.839 -0.048 2.110 0.003 0.078 -0.034
C -3.924 0.911 2.493 -0.032 -0.020 0.019
C -1.651 -0.136 2.852 0.097 -0.035 0.023
C -0.686 -1.106 2.554 -0.077 -0.064 -0.007
H 1.249 -4.160 -0.227 -0.004 -0.017 0.001
H 0.766 -2.528 -0.692 0.017 -0.002 0.034
H -0.409 -3.849 -0.704 -0.023 0.004 -0.010
H 1.031 -2.877 1.814 -0.003 0.020 -0.055
H -1.383 -4.722 1.492 -0.020 0.013 -0.009
H -0.671 -4.226 3.031 -0.005 0.017 0.014
H 0.253 -5.224 1.909 0.022 0.002 -0.013
H -2.171 -2.530 -0.130 -0.027 -0.004 0.017
H -3.868 -0.832 0.390 -0.002 -0.008 0.011
H -4.623 0.401 3.159 -0.016 0.000 0.014
H -4.485 1.250 1.624 -0.003 -0.017 0.034
H -3.532 1.776 3.022 0.022 0.000 0.009
H -1.479 0.553 3.670 -0.020 -0.022 0.006
~~~

# Written answer
* total energy: -49013.4967 eV
* energy relative to the best compared isomer or geometry (same formula, charge and spin): 54.80 kcal per mole
* highest occupied orbital energy (alpha / beta): 1.933 / 1.956 eV
* LUMO energy (alpha / beta): 4.87 / 4.87 eV
* total energy: -169866.7879 eV
* energy relative to the best compared isomer or geometry (same formula, charge and spin): 1.24 kcal per mole
* highest occupied orbital energy (alpha / beta): -11.765 / -11.766 eV
* LUMO energy (alpha / beta): -5.19 / -5.19 eV